The Broads have long been recognised as a unique landscape, treasured for their rich blend of ecological, recreational and commercial benefits. In 1976, “Broadland” was amongst the earliest sites to be designated as a Wetland of International Importance under the Ramsar Convention. Extended to a total 4,623ha in 1994, the Broads are Britain’s third largest inland waterway.

Between two parts of the piece: crystal structures =
┌──
Entry 1:
Calculated powder X-ray diffraction pattern of LiLaAg2Ge for a wavelength of 1.5418 Å, from a GGA-PBE-relaxed structure.
Kinematic intensities with the Lorentz-polarization factor, no thermal factor.

Principal peaks in the range 2θ from 5° to 70°, low angle first:
| two_theta | I/Imax |
| --- | --- |
| 16.8 | 11.5 |
| 21.6 | 13.0 |
| 32.4 | 21.6 |
| 33.0 | 100.0 |
| 34.1 | 13.0 |
| 40.3 | 37.6 |
| 47.7 | 10.9 |
| 53.8 | 13.6 |
| 58.3 | 12.3 |
| 68.7 | 22.6 |

Cell lengths 4.4753, 4.4753, 10.5286 Å; angles 90.00, 90.00, 90.00 degrees
Space group I4mm (No. 107)
Unique sites:
Li 0.0000 0.0000 0.0000 (multiplicity 2)
La 0.0000 0.0000 0.6329 (multiplicity 2)
Ag 0.0000 0.5000 0.3723 (multiplicity 4)
Ge 0.0000 0.0000 0.2308 (multiplicity 2)

=====

Entry 2:
Calculated powder X-ray diffraction pattern of Zr3Zn3IrPd2 for a wavelength of 1.5418 Å, from a GGA-PBE-relaxed structure.
Kinematic intensities with the Lorentz-polarization factor, no thermal factor.

Principal peaks in the range 2θ from 5° to 70°, low angle first:
| two_theta | I/Imax |
| --- | --- |
| 13.8 | 16.1 |
| 24.0 | 26.4 |
| 30.6 | 36.3 |
| 36.6 | 78.3 |
| 37.0 | 20.1 |
| 39.3 | 86.4 |
| 42.2 | 100.0 |
| 46.6 | 57.2 |
| 56.1 | 19.2 |
| 57.1 | 10.8 |

Cell lengths 7.4153, 7.4153, 3.2794 Å; angles 90.00, 90.00, 120.00 degrees
Space group P-62m (No. 189)
Unique sites:
Zr 0.0000 0.6219 0.0000 (multiplicity 3)
Zn 0.0000 0.2814 0.5000 (multiplicity 3)
Ir 0.0000 0.0000 0.0000 (multiplicity 1)
Pd 0.3333 0.6667 0.5000 (multiplicity 2)

=====

Entry 3:
Calculated powder X-ray diffraction pattern of NaDyTeO for a wavelength of 1.5418 Å, from a GGA-PBE-relaxed structure.
Kinematic intensities with the Lorentz-polarization factor, no thermal factor.

Principal peaks in the range 2θ from 5° to 70°, low angle first:
| two_theta | I/Imax |
| --- | --- |
| 12.2 | 86.3 |
| 23.0 | 33.8 |
| 27.3 | 32.8 |
| 28.7 | 57.4 |
| 29.0 | 100.0 |
| 31.8 | 57.0 |
| 35.4 | 25.2 |
| 37.1 | 27.1 |
| 38.5 | 54.1 |
| 48.2 | 24.0 |

Cell lengths 7.3605, 7.5528, 6.6293 Å; angles 90.00, 99.35, 90.00 degrees
Space group P2_1/c (No. 14)
Unique sites:
Na 0.1095 0.2060 0.4717 (multiplicity 4)
Dy 0.4692 0.6245 0.7833 (multiplicity 4)
Te 0.1998 0.5773 0.3522 (multiplicity 4)
O 0.4120 0.1507 0.3930 (multiplicity 4)

=====

Entry 4:
Calculated powder X-ray diffraction pattern of Mg2CuAs2Au for a wavelength of 1.5418 Å, from a GGA-PBE-relaxed structure.
Kinematic intensities with the Lorentz-polarization factor, no thermal factor.

Principal peaks in the range 2θ from 5° to 70°, low angle first:
| two_theta | I/Imax |
| --- | --- |
| 6.3 | 8.5 |
| 12.5 | 4.6 |
| 25.2 | 100.0 |
| 41.7 | 70.9 |
| 41.9 | 35.6 |
| 49.2 | 16.1 |
| 49.5 | 32.1 |
| 60.2 | 5.6 |
| 60.7 | 11.6 |
| 66.6 | 12.8 |

Cell lengths 7.5090, 4.3140, 14.3274 Å; angles 90.00, 99.70, 90.00 degrees
Space group Pm (No. 6)
Unique sites:
Mg 0.0000 0.0000 0.0000 (multiplicity 1)
Mg 0.0019 0.5000 0.4914 (multiplicity 1)
Mg 0.2418 0.0000 0.7401 (multiplicity 1)
└──
The crystal structures stop here =

The biodiversity of Broadland is truly stunning, with a mosaic of wetland habitats including rivers and dykes, reedbeds, carr woodland, grazing marsh, and fen meadow, and more than 60 lakes and flooded medieval peat diggings known as broads. Outstanding assemblages of rare plants and invertebrates occur here. Hickling Broad is famous for its rare Stoneworts, Water soldier, and other aquatic plants. Amongst a rich fauna are the nationally rare Norfolk hawker dragonfly, and the Fen raft spider. This is the last stronghold for the Swallowtail and its foodplant Milk-parsley as well as home to several nationally rare breeding birds, including the Bittern and Marsh Harrier. Many species of waterbirds overwinter in Broadland, including internationally important numbers of Bewick's swan, widgeon and other ducks, and several species of geese.

The Broads Authority, in the 2011 Broads Biodiversity Audit carried out by the University of East Anglia, recorded more than 11,000 (17%) of Britain’s 65,000-70,000 species, making this the most biodiverse of any designated national park, despite also being the smallest, at 303 sq. km.
Worryingly though, over 1,500 (14%) of these species are under threat and recognised as priority species for conservation action. This is a quarter of all the UK’s priority species, showing just how important the Broads are for nature conservation and recovery.
Fully freshwater conditions are an essential requirement for 63% of them and salt incursion, which has increased in recent years, is a big issue. The Swallowtail is particularly at risk from the impact of climate change, including sea-level rise, and is at historically low population levels in its remaining 16 breeding sites. Many species of conservation concern are poorly understood, such as the Reed beetles, several species of which are feared to be extinct in the marshes of the River Ant. Many other Broads species have not been seen in the past 35 years, and there is much research waiting to be done by naturalists.

********
[1]
# Ac2Pm2Se3S2
Simulated powder X-ray diffraction pattern, Cu Kα. Input: DFT lattice parameters and positions (GGA-PBE).
No peak broadening, texture or thermal motion is included.

Crystal structure
Cell: 10.1437 10.1437 10.1437 Å, 148.85 148.85 44.63°
Sites, in units of the cell vectors:
Ac 0.1781 0.1781 0.0000
Ac 0.8219 0.8219 0.0000
Pm 0.0000 0.5000 0.5000
Pm 0.5000 0.0000 0.5000
Se 0.0000 0.0000 0.0000
Se 0.2500 0.7500 0.5000
Se 0.7500 0.2500 0.5000
S 0.4126 0.4126 0.0000
S 0.5874 0.5874 0.0000

Most intense lines, 5 to 70 degrees two-theta, sorted by position:
2theta, I (rel.)
16.95, 40
18.91, 28
21.63, 61
24.99, 32
28.89, 60
30.02, 63
32.89, 100
39.71, 27
44.33, 37
45.26, 47
47.20, 36
67.46, 29

---

[2]
# KSn2HgPb
Simulated powder X-ray diffraction pattern, Cu Kα. Input: DFT lattice parameters and positions (GGA-PBE).
No peak broadening, texture or thermal motion is included.

Crystal structure
Cell: 7.3357 7.3357 7.3357 Å, 142.83 136.04 58.89°
Sites, in units of the cell vectors:
K 0.0000 0.0000 0.0000
Sn 0.6209 0.6209 0.0000
Sn 0.7703 0.2703 0.5000
Hg 0.3957 0.3957 0.0000
Pb 0.2411 0.7411 0.5000

Most intense lines, 5 to 70 degrees two-theta, sorted by position:
2theta, I (rel.)
13.86, 40
17.58, 40
20.22, 35
28.35, 31
28.71, 100
32.62, 47
37.84, 88
38.51, 30
38.87, 30
51.33, 27
55.85, 37
69.20, 23

---

[3]
# Ba2AcPbS5
Simulated powder X-ray diffraction pattern, Cu Kα. Input: DFT lattice parameters and positions (GGA-PBE).
No peak broadening, texture or thermal motion is included.

Crystal structure
Cell: 9.4687 9.4687 13.1515 Å, 90.00 90.00 152.77°
Sites, in units of the cell vectors:
Ba 0.1113 0.8887 0.5000
Ba 0.1343 0.8657 0.1152
Ba 0.8657 0.1343 0.6152
Ba 0.8887 0.1113 0.0000
Ac 0.2126 0.7874 0.8228
Ac 0.7874 0.2126 0.3228
Pb 0.4724 0.5276 0.2705
Pb 0.5276 0.4724 0.7705
S 0.0504 0.9496 0.8811
S 0.2844 0.7156 0.4730
S 0.3211 0.6789 0.1783
S 0.3708 0.6292 0.8099
S 0.4919 0.5081 0.5775
S 0.5081 0.4919 0.0775
S 0.6292 0.3708 0.3099
S 0.6789 0.3211 0.6783
S 0.7156 0.2844 0.9730
S 0.9496 0.0504 0.3811

Most intense lines, 5 to 70 degrees two-theta, sorted by position:
2theta, I (rel.)
13.47, 24
22.46, 36
23.60, 48
24.65, 100
25.61, 37
28.97, 76
29.91, 57
34.41, 22
37.00, 20
40.46, 35
42.21, 26
51.13, 26

---

[4]
# Hg2BiPb5
Simulated powder X-ray diffraction pattern, Cu Kα. Input: DFT lattice parameters and positions (GGA-PBE).
No peak broadening, texture or thermal motion is included.

Crystal structure
Cell: 6.9247 6.9247 7.1123 Å, 120.86 120.86 86.47°
Sites, in units of the cell vectors:
Hg 0.0000 0.0000 0.0000
Hg 0.9999 0.9999 0.4999
Bi 0.4997 0.4997 0.0002
Pb 0.0000 0.4997 0.0005
Pb 0.9996 0.5003 0.5006
Pb 0.4997 0.0000 0.0005
Pb 0.5003 0.9996 0.5006
Pb 0.4997 0.4997 0.5004

Most intense lines, 5 to 70 degrees two-theta, sorted by position:
2theta, I (rel.)
31.29, 100
31.44, 99
35.57, 72
37.94, 30
50.98, 13
51.39, 13
52.98, 47
61.14, 31
61.41, 30
64.45, 26
65.28, 13
65.62, 13

---

[5]
# PmTlIr
********
Here the text continues:

The focus today is on nature recovery. The government’s 2023 Environmental Improvement Plan aims to identify hot spots and characterise connecting corridors and flyways. In Broadland, the rivers and broads themselves are the arteries and veins that carry the lifeblood of the Broadland fauna and flora – freshwater – around the system. But these waters, known in Broadland as “the navigation” have become something of a battleground.
The Broads were designated as the equivalent of a national park in 1988, with added 2009 legislation charging the Broads Authority to conserve wildlife, provide access for people to enjoy, and maintain the navigation for the largely recreational boating community. More than 60% of the Broads are below sea-level, requiring expensive maintenance that leapt in cost during the recent inflation hikes. With the twin challenges of a biodiversity crisis and climate-induced impacts such as floods and rising water levels now very much in evidence, the costs of maintaining the Broads have soared.

Between two parts of the article: crystal structures:
+++
This entry pairs a crystal structure of Ba2CaFe2CoF14 with its theoretical powder diffractogram. Radiation: Cu Kα X-rays. Structure: a DFT-relaxed cell (GGA+U, Alexandria).
Neutral-atom scattering factors, no anomalous dispersion.

Cell and atoms:
```
Ba2CaFe2CoF14
1.0
6.9822 -2.7112 0.0000
6.9822 2.7112 0.0000
-0.2551 0.0000 15.0818
Ba Ca Fe Co F
4 2 4 2 28
Direct
0.1386 0.2422 0.1207
0.2422 0.1386 0.6207
0.7578 0.8614 0.3793
0.8614 0.7578 0.8793
0.4409 0.5591 0.2500
0.5591 0.4409 0.7500
0.1099 0.1256 0.3763
0.1256 0.1099 0.8763
0.8744 0.8901 0.1237
0.8901 0.8744 0.6237
0.5000 0.5000 0.0000
0.5000 0.5000 0.5000
0.0495 0.6278 0.2213
0.0777 0.9007 0.3424
0.0993 0.9223 0.1576
0.1054 0.7269 0.5164
0.1597 0.5919 0.7052
0.1692 0.5812 0.0465
0.1905 0.3095 0.4112
0.2731 0.8946 0.9836
0.3095 0.1905 0.9112
0.3630 0.5270 0.8809
0.3722 0.9505 0.2787
0.4081 0.8403 0.7948
0.4188 0.8308 0.4535
0.4730 0.6370 0.6191
0.5270 0.3630 0.3809
0.5812 0.1692 0.5465
0.5919 0.1597 0.2052
0.6278 0.0495 0.7213
0.6370 0.4730 0.1191
0.6905 0.8095 0.0888
0.7269 0.1054 0.0164
0.8095 0.6905 0.5888
0.8308 0.4188 0.9535
0.8403 0.4081 0.2948
0.8946 0.2731 0.4836
0.9007 0.0777 0.8424
0.9223 0.0993 0.6576
0.9505 0.3722 0.7787
```

Most intense lines, 10° ≤ 2θ ≤ 90°, most intense first:
- 25.22 deg, d = 3.532 Å, intensity 1000
- 29.47 deg, d = 3.031 Å, intensity 335
- 29.65 deg, d = 3.013 Å, intensity 297
- 23.60 deg, d = 3.770 Å, intensity 289
- 27.76 deg, d = 3.214 Å, intensity 285
- 41.00 deg, d = 2.201 Å, intensity 242
+++

Tolls raised from the 12,500 boaters in Broadland cover the costs of the navigation and its basic infrastructure of moorings, dredging and channels free of water plants, but it is insufficient to cover the full cost of maintaining the additional ecological services arising from the wetland landscape, such as flood control and a rich biodiversity. There are public concerns that tolls are partly being used to pay for these national park benefits. While such claims are arguable, they are fuelled by the fact that tolls have risen steeply while the Defra national park grant has remained frozen for five years, albeit with generous additional capital grants for specialist wetland equipment.
We need to recognise these waterways for both their public and private benefits. The cost of managing them should be part of the overall budget for managing the designated national park, a cost to which boat owners should contribute fairly for the recreation they enjoy. But the public purse should also contribute proportionately, recognising that it is not only boat owners who enjoy the waterways but walkers, anglers, naturalists and many others outside the park too. Behind the scenes, this concept is widely accepted, and hybrid navigation/conservation projects have been the norm at the Broads Authority for some time, albeit often externally funded.
As 2024 unfolds, the Broads Authority is consulting with the members of the Broads Biodiversity Partnership on a review of the Broads Biodiversity Strategy, which is likely to be renamed the Broads Nature Recovery Strategy. To achieve the many targets for biodiversity improvements, finance for the Broads needs to be diversified and shared fairly between all stakeholders. It’s time the government funded not only the Broads properly, but all the other national parks as well, recognising them for what they are: an irreplaceable public and private benefit.
As we consider the future of the Norfolk and Suffolk Broads, the role of the Broads Society becomes even more significant. Their ongoing efforts in conservation, advocacy, and community engagement are essential for maintaining the beauty and vitality of the Broads. Joining the Society is not just a way to support these efforts; it's an opportunity to be part of a community that is deeply committed to the stewardship of one of the UK's most precious natural landscapes. Whether you are a local resident, a frequent visitor, or someone who holds the Broads dear, becoming a member of the Broads Society is a meaningful way to contribute to the preservation and enhancement of this unique area.
